Reflection on Article 1798 of the Catechism

My dear parishioners,
Peace! Under headings of Judgment, Formation, Choice in Accord, Erroneous Judgment and In Brief, the Catechism of the Catholic Church addresses “conscience” in twenty-nine passages. Here we consider CCC, 1798.
== Data records, kept here for reference ==
┌──
The following is a PBE calculation of an optimized crystal structure of Na2La2Ga2SiS5O24, from the Materials Project database.

```
Na2La2Ga2SiS5O24
1.0
8.988 0.058 -0.043
-4.444 7.704 0.062
-0.111 0.115 23.992
Ga O Na La S Si
6 72 6 6 15 3
Direct
0.656 0.321 0.176
0.006 0.986 0.161
0.669 0.333 0.993
0.335 0.662 0.016
0.333 0.694 0.312
0.991 0.001 0.836
0.809 0.808 0.927
0.873 0.309 0.631
0.011 0.798 0.712
0.523 0.667 0.244
0.460 0.106 0.531
0.147 0.462 0.977
0.508 0.831 0.758
0.134 0.502 0.586
0.532 0.854 0.355
0.086 0.465 0.877
0.490 0.373 0.394
0.199 0.191 0.814
0.696 0.151 0.031
0.792 0.748 0.291
0.631 0.117 0.131
0.545 0.886 0.457
0.801 0.984 0.404
0.952 0.205 0.291
0.154 0.470 0.243
0.129 0.638 0.077
0.331 0.825 0.253
0.878 0.341 0.530
0.179 0.218 0.402
0.694 0.552 0.642
0.294 0.454 0.760
0.325 0.491 0.350
0.505 0.170 0.228
0.871 0.506 0.133
0.506 0.864 0.074
0.145 0.676 0.356
0.195 0.030 0.575
0.874 0.502 0.401
0.538 0.684 0.975
0.488 0.374 0.132
0.021 0.200 0.192
0.636 0.134 0.396
0.362 0.501 0.073
0.791 0.004 0.703
0.459 0.309 0.032
0.448 0.124 0.633
0.848 0.544 0.033
0.203 0.191 0.711
0.127 0.654 0.459
0.206 0.186 0.089
0.379 0.922 0.877
0.019 0.814 0.410
0.852 0.351 0.940
0.324 0.849 0.589
0.258 0.052 0.301
0.500 0.658 0.593
0.173 0.959 0.193
0.009 0.195 0.926
0.137 0.664 0.765
0.011 0.194 0.573
0.848 0.330 0.224
0.687 0.178 0.767
0.019 0.813 0.815
0.312 0.849 0.976
0.651 0.495 0.942
0.834 0.826 0.573
0.687 0.520 0.226
0.818 0.019 0.090
0.463 0.311 0.766
0.188 0.997 0.925
0.547 0.619 0.877
0.344 0.474 0.453
0.971 0.795 0.091
0.785 0.818 0.192
0.796 0.990 0.819
0.641 0.526 0.527
0.497 0.150 0.942
0.830 0.546 0.769
0.641 0.313 0.319
0.999 0.000 0.000
0.382 0.691 0.672
0.330 0.674 0.170
0.670 0.321 0.840
0.990 0.987 0.502
0.015 0.000 0.336
0.358 0.671 0.521
0.970 0.982 0.648
0.352 0.679 0.827
0.670 0.329 0.691
0.659 0.343 0.476
0.024 0.366 0.929
0.997 0.704 0.764
0.290 0.287 0.761
0.955 0.621 0.084
0.378 0.339 0.082
0.341 0.980 0.930
0.639 0.655 0.931
0.335 0.390 0.400
0.357 0.029 0.582
0.995 0.303 0.238
0.042 0.660 0.407
0.628 0.965 0.403
0.695 0.687 0.239
0.973 0.337 0.580
0.664 0.038 0.082
0.669 0.637 0.585
0.318 0.004 0.243
0.698 0.004 0.760
```

Corrected total energy (MP2020 scheme): -6.9027 eV per atom
Energy relative to the elements: -2363 meV per atom

***

The following is a PBE calculation of an optimized crystal structure of Na14La4Ga4Si7S5O48, from the Materials Project database.

```
Na14La4Ga4Si7S5O48
1.0
-11.130 -14.908 1.185
5.502 1.129 -7.431
16.661 -11.521 10.544
S O Na Si La Ga
15 144 42 21 12 12
Direct
0.012 0.707 0.760
0.503 0.345 0.915
0.331 0.605 0.583
0.687 0.048 0.575
0.196 0.052 0.586
0.834 0.631 0.575
0.695 0.341 0.086
0.994 0.300 0.257
0.013 0.349 0.906
0.512 0.314 0.261
0.335 0.038 0.074
0.002 0.661 0.416
0.508 0.672 0.411
0.492 0.684 0.754
0.189 0.328 0.074
0.742 0.348 0.032
0.828 0.536 0.521
0.613 0.188 0.082
0.254 0.165 0.922
0.055 0.683 0.467
0.928 0.519 0.148
0.073 0.498 0.578
0.256 0.632 0.862
└──
A well-formed conscience is upright and truthful. The Lord Jesus is the way, the truth and the life who has spoken the truth in love to us about God and ourselves in order that we might be made holy, that is, sanctified (cf. John 14: 6; 17:17; Ephesians 4:15). When the Lord Jesus preached that the truth will set us free (cf. John 8:32) He had a double meaning: He Himself, Truth Incarnate, as well as the moral truths contained in His preaching such as the Beatitudes (cf. Matthew 5:2-12) and the entire Sermon on the Mount (cf. Matthew 5:1-7:29). When we conform our lives and desires to what is truly good then we are on the right path which leads to happiness in the here and now and the hereafter.
A well-formed conscience formulates its judgments according to reason. While we are not rationalists, denying the possibility (and the reality) of God’s self-revelation in the Incarnation and Sacred Scripture, we know by both faith and reason that there are good things that we should do and evil things we should not do. A well-formed conscience recognizes these things. The Ten Commandments are a revealed and privileged expression of the Natural Law (cf. CCC § 2070). All law, human or divine, is to be an “ordinance of reason” (cf. CCC § 1951; Summa Theologiae I-II Q. 90, A. 1).
The text is interrupted by calculated crystals =
<<<
1.
Pr4As3 r2SCAN optimized geometry; energy = -171.94 eV/f.u.; space group = No. 220
1.0
7.432 0.000 -2.628
-3.716 6.437 -2.628
0.000 0.000 7.883
Pr As
8 6
direct
0.133 0.133 0.133
0.867 0.500 0.000
0.000 0.867 0.500
0.500 0.000 0.867
0.000 0.367 0.500
0.500 0.000 0.367
0.367 0.500 0.000
0.633 0.633 0.633
0.250 0.625 0.375
0.375 0.250 0.625
0.125 0.750 0.875
0.875 0.125 0.750
0.625 0.375 0.250
0.750 0.875 0.125

---

2.
Eu3Al2P4 r2SCAN optimized geometry; energy = -175.77 eV/f.u.; space group = No. 15
1.0
3.221 -2.919 6.941
8.076 1.014 -0.909
-0.424 5.949 2.718
Eu Al P
6 4 8
direct
0.009 0.750 0.536
0.250 0.991 0.964
0.991 0.250 0.464
0.750 0.009 0.036
0.402 0.598 0.250
0.598 0.402 0.750
0.829 0.580 0.085
0.420 0.171 0.415
0.171 0.420 0.915
0.580 0.829 0.585
0.059 0.708 0.025
0.292 0.941 0.475
0.941 0.292 0.975
0.708 0.059 0.525
0.741 0.576 0.430
0.424 0.259 0.070
0.259 0.424 0.570
0.576 0.741 0.930

---

3.
MnCdF5 r2SCAN optimized geometry; energy = -68.94 eV/f.u.; space group = No. 14
1.0
6.354 0.000 0.000
0.000 7.001 -3.409
0.000 0.072 8.887
Mn Cd F
4 4 20
>>>
A well-formed conscience formulates its judgments in conformity with the true good willed by the wisdom of the Creator. If we are trapped in vice, e.g. greed or lust…, we have a false appreciation of just what is good. The greedy person sees money and wealth as “the good” for which to live, while the lustful person sees sexual gratification as the end all and be all. Almighty God is the origin and end (goal) of all that is good, true and beautiful (cf. CCC §§ 32-33, 282). The virtues, such as generosity and chastity, also help us not only to act well, but also to judge in conformity with our nature, in the image of God (cf. Genesis 1:27).
We must always avail ourselves of the means to form our conscience. There are various tools at our disposal for the formation of our conscience: the Cross, the Sacred Scriptures (including the Commandments and the Beatitudes), the sure and certain teaching of the Church, the example of the Saints. This is an imperative, not a mere suggestion. As we are responsible for the good we do (or fail to do) and for the evil we commit (or refuse to commit), so too, we are responsible for forming our consciences rightly. Not attaining the age of reason (normally by seven years of age) or mental impairment (e.g. retardation, schizophrenia, dementia…) can impact our personal responsibility.
God bless you!
Attached: crystal structures.
........
# 1
# KCrMo2O8 GGA+U relaxed
# raw total energy = -7.00 eV/atom
data_KCrMo2O8
_chemical_formula_sum 'K2 Cr2 Mo4 O16'
_space_group_name_H-M_alt 'P -1'
_space_group_IT_number 2
_cell_length_a 5.764
_cell_length_b 9.264
_cell_length_c 9.513
_cell_angle_alpha 117.64
_cell_angle_beta 107.62
_cell_angle_gamma 90.03
loop_
_space_group_symop_operation_xyz
'x,y,z'
'-x,-y,-z'
loop_
_atom_site_label
_atom_site_fract_x
_atom_site_fract_y
_atom_site_fract_z
K1 0.185 0.250 0.000
Cr1 0.000 0.000 0.500
Cr2 0.500 0.500 0.500
Mo1 0.120 0.735 0.699
Mo2 0.422 0.765 0.301
O1 0.053 0.820 0.558
O2 0.140 0.416 0.356
O3 0.170 0.892 0.905
O4 0.217 0.916 0.357
O5 0.266 0.608 0.094
O6 0.298 0.145 0.702
O7 0.403 0.646 0.701
O8 0.496 0.679 0.440



# 2
# KNa7V7CrO24 GGA+U relaxed
# size of the total moment = 1.00 μB/f.u.
# raw total energy = -6.47 eV/atom
data_KNa7V7CrO24
_chemical_formula_sum 'K3 Na21 V21 Cr3 O72'
_space_group_name_H-M_alt 'R 3 m'
_space_group_IT_number 160
_space_group_name_Hall 'R 3 -2"'
_cell_length_a 10.7218
_cell_length_b 10.7218
_cell_length_c 13.1340
_cell_angle_alpha 90.00
_cell_angle_beta 90.00
_cell_angle_gamma 120.00
loop_
_atom_site_label
_atom_site_fract_x
_atom_site_fract_y
_atom_site_fract_z
K1 0.0000 0.0000 0.0000
Na1 0.0000 0.0000 0.5010
Na2 0.0007 0.5003 0.5003
Na3 0.1670 0.3340 0.3340
V1 0.0000 0.0000 0.2512
V2 0.0009 0.5004 0.2503
V3 0.1671 0.3343 0.0841
Cr1 0.0000 0.0000 0.7498
O1 0.0010 0.2526 0.0010
O2 0.0839 0.1677 0.1689
O3 0.0845 0.4168 0.1666
O4 0.0846 0.1691 0.6653
O5 0.1659 0.0829 0.3340
O6 0.1712 0.0856 0.8338



The following formation energy from the elements values (in eV/atom) correspond, in order, to the records above: -2.16 -2.17.

~~~~~

--- i ---
This record from the Materials Project describes K2LiNd4Nb2O12 after structural relaxation. The functional is PBE.

Structure (POSCAR):
```
K2LiNd4Nb2O12
1.0
-5.4545 1.0521 -1.6035
3.4902 -4.2406 -4.2295
-2.9726 -5.3673 6.5816
Li O Nb Nd K
1 12 2 4 2
Cartesian
-4.5608 -6.9466 0.5327
1.1170 -5.1843 -2.2799
-1.4607 -2.4169 -1.5854
-3.4400 -3.8771 3.7809
-6.0839 -3.3678 3.0036
-0.7367 -9.2800 1.9428
-1.4584 -4.6876 -3.0371
-3.5102 -6.1253 2.1914
-4.3166 -1.8658 -2.4248
-0.9751 -5.1070 -0.0385
-3.6303 -8.7213 1.0922
-5.9677 -5.6530 1.4702
-3.9476 -3.3781 0.7812
-4.5673 -4.3597 2.2478
-0.3526 -4.1180 -1.5038
-1.7366 -7.3334 1.0930
-2.4446 -2.7006 -3.8796
-2.5559 -6.0919 4.6899
-3.1591 -1.0849 -0.3894
-3.6445 -4.9634 -1.2868
-1.2451 -3.4549 1.9653
```

## Properties
Space-group type: Cm, No. 8

--- ii ---
This record from the Materials Project describes K2LiNd4Nb2O12 after structural relaxation. The functional is PBE.

Structure (POSCAR):
```
K2LiNd4Nb2O12
1.0
5.8296 -0.0174 0.0270
-2.9416 6.2265 -1.7179
0.0414 0.0287 8.8006
O Li Nb Nd K
12 1 2 4 2
Cartesian
-1.4360 6.2361 7.0205
0.1791 4.0275 3.2972
4.3947 2.9018 0.6597
1.6370 0.6752 6.0878
-1.4497 5.6595 0.9958
4.3352 0.7125 6.0750
2.9504 2.2321 3.7676
1.3475 2.7324 1.0074
1.5315 6.2389 7.0132
1.6097 3.3132 6.4782
........
Father John Arthur Orr